The Wonder of Your Love - By Beth Wiseman Page 0,69

“See what I mean? He told me, but I can’t remember. Something as important as that, and I can’t remember if it’s next Thursday or Friday.” She took another bite and shook her head again.

“Just ask him again.”

Martha twisted her mouth into a frown. “You haven’t mentioned much about Eli lately. The two of you still writing letters?”

Katie Ann shrugged. They’d quit writing letters after Eli gave her the phone. “We talk on the phone, but he’s in Florida right now.”

Martha tapped her fork to the plate. “I just don’t know what to think about the two of you.”

“There’s nothing to think about. I’ve told you over and over again . . . we’re just friends.”

“That man ever kissed you?” Martha glared at Katie Ann.

“Martha! That is not an appropriate question to ask.” She avoided Martha’s cool stare and focused on her plate.

“Well, you didn’t deny it, so I’m assuming he has.”

Katie Ann looked up to see Martha grinning. Katie Ann couldn’t help grinning back.

“See, you’re smiling. You’ve done some smooching, huh?”

Katie Ann stood up from the table and carried her plate to the sink. “I’m not discussing this with you.”

Not only was it inappropriate to discuss such a thing with Martha, but Katie Ann had been training her mind not to think about those kisses with Eli. It was easier that way. Just then her cell phone rang on the kitchen counter. Katie Ann ignored it.

“Aren’t you going to get that?”

Katie Ann started to run hot water in the kitchen sink, and although adrenaline shot through her body, she just shrugged.

“No. I’m spending time with you.”

Martha cackled. “Don’t you dare let me interfere with your love life.”

Katie Ann began to clear the dishes from the table. “I don’t have a love life.” She bit her bottom lip as she walked back to the sink. The phone rang again.

“Well, that’s your fault.”

Katie Ann spun around in time to see Martha raise her chin, so Katie Ann shot her a twisted smile. “Really? My fault?”

“Yep. That Eli would be a great catch, but you’re afraid to let yourself be happy.”

Martha huffed, and Katie Ann wanted to tell Martha she didn’t know what she was talking about, but she was pretty sure she couldn’t do that without crying. She kept her head down as she washed the dishes, hoping Martha would be quiet about it. Out of the corner of her eye, she saw her friend get up and put the jams in the refrigerator.

“Don’t you think our little Jonas needs a father? And what about you? You can’t tell me you wouldn’t like to have a man to help you out around here.”

Katie Ann stayed quiet as Martha shuffled around the kitchen, clearing other items from the table.

“And if you’re still mourning that husband of yours—”

-- Next to the article, the page also holds calculated crystals --
........
The following is a computed PXRD pattern of Y2Cd3Pb3. It was derived from a DFT-relaxed cell (GGA-PBE, Alexandria), using copper Kα.
Kinematic intensities with the Lorentz-polarization factor, no thermal factor.

Atomic structure:
```
Y2Cd3Pb3
1.0
4.679 0.000 0.000
0.000 4.898 0.000
0.000 0.000 9.130
Y Cd Pb
2 3 3
direct
0.000 0.000 0.250
0.000 0.000 0.750
0.000 0.500 0.000
0.500 0.500 0.237
0.500 0.500 0.763
0.000 0.500 0.500
0.500 0.000 0.000
0.500 0.000 0.500
```

Principal peaks in the range 2θ = 10–80°, most intense first:
........

“I’m not,” Katie Ann interrupted as she slammed a rinsed dish into the drain rack.

“I’m just sayin’ that you should give Eli a chance. That’s all.” Martha walked up beside her and started to dry the dishes.

Katie Ann kept her head down as she chewed on her bottom lip. Please let it go, Martha.

“And one more thing . . .” Martha placed a dried dish in the cabinet as Katie Ann braced herself. “Don’t you let what that husband of yours did keep you from loving again, because—”

“Martha, stop it! I love Eli. I love him so much it hurts.” Katie Ann covered her face with her hands as she cried.

A moment later Martha was rubbing her back, and they were both quiet for a while. Then Martha spoke softly. “Honey, why didn’t you tell me this?”

Katie Ann turned to Martha, then fell into her arms and sobbed, letting go of all the emotion she had built up where Eli was concerned. “Because I can’t have him . . .”

ELI HIT END on the cell phone as he walked to the balcony of his fancy hotel, feeling a bit guilty about the luxury he’d allowed himself for this trip. As much as he’d looked forward to some time alone, the sightseeing, and a new place—it just wasn’t all he’d imagined. He’d spent his life working the land, raising kinner, and always having someone to take care of. Had he thought of those things as burdens at the time?

He stared out at the ocean as the cool wind threatened to pull his hat off, and he thought about his life. When had he been the happiest? Not a full second passed before he knew. When he was Copyright 2016 - 2024